(What to do)
Find the line underneath that holds "0.6203", then transcribe that line and all lines after it there.
(Source)
/*
# 1
4
Lattice="0.0000 2.5544 5.8971 2.5490 0.0000 5.8971 2.5490 2.5544 0.0000" Properties=species:S:1:pos:R:3 comment="Er2GeH (PBE, relaxed)" m_tot_mub_per_fu=0.00 density_g_cm3=8.83 e_tot_ev_per_cell=-19.57 de_polymorph_mev_per_atom=0.0 pbc="T T T"
Er 2.5490 2.5544 1.7212
Er 2.5490 2.5544 10.0730
Ge 2.5490 2.5544 5.8971
H 3.8236 3.8316 8.8457

=====

# 2
12
Lattice="6.3008 -2.8457 0.0000 6.3008 2.8457 0.0000 -2.5442 0.0000 7.6060" Properties=species:S:1:pos:R:3 comment="Er3Ge2H (PBE, relaxed)" m_tot_mub_per_fu=0.00 density_g_cm3=7.89 e_tot_ev_per_cell=-59.52 pbc="T T T"
Er 4.3926 2.6527 5.7045
Er 3.1346 0.0131 3.1612
Er 1.8625 -0.0131 6.9642
Er 8.1948 0.0131 0.6417
Er 6.9227 -0.0131 4.4447
Er 5.6647 -2.6527 1.9015
Ge 1.8602 0.0179 0.6203
Ge 0.5881 -0.0179 4.4233
Ge 9.4692 0.0179 3.1827
Ge 8.1971 -0.0179 6.9857
H 4.3926 0.2693 5.7045
H 5.6647 -0.2693 1.9015

=====

# 3
80
Lattice="-7.5248 7.5248 7.5248 7.5248 -7.5248 7.5248 7.5248 7.5248 -7.5248" Properties=species:S:1:pos:R:3 comment="Er12Ge3H5 (PBE, relaxed)" m_tot_mub_per_fu=0.00 density_g_cm3=8.69 e_tot_ev_per_cell=-373.00 pbc="T T T"
Er 2.3073 -0.5772 0.8804
Er 8.9799 4.6428 -4.3396
Er 6.9477 -0.8804 2.3073
Er 11.8644 -1.4551 2.8820
Er 9.8322 0.5772 0.8804
Er 8.9799 -2.8820 4.3396
Er 0.8804 2.3073 -0.5772
Er 10.4068 3.1852 -1.4551
Er 4.6428 4.3396 -1.4551
Er 6.6444 2.3073 0.5772
Er -0.5772 0.8804 2.3073
Er 4.3396 -1.4551 4.6428
Er 6.9477 6.6444 -2.3073
Er 4.3396 1.4551 2.8820
Er 6.6444 -2.3073 6.9477
Er 4.6428 -4.3396 8.9799
Er 2.8820 4.3396 1.4551
Er 8.4053 5.2175 0.5772
Er 2.3073 6.9477 -0.8804
Er 8.9799 2.8820 3.1852
Er 4.3396 8.9799 -2.8820
Er 6.9477 0.8804 5.2175
Er 1.4551 2.8820 4.3396
Er 2.3073 0.5772 6.6444
Er 5.2175 6.9477 0.8804
Er 6.0697 4.6428 3.1852
Er 0.5772 6.6444 2.3073
Er 3.1852 -1.4551 10.4068
Er -1.4551 4.6428 4.3396
Er 5.2175 0.5772 8.4053
Er -0.8804 2.3073 6.9477
Er 4.6428 3.1852 6.0697
Er 2.8820 11.8644 -1.4551
Er 0.8804 9.8322 0.5772
Er 3.1852 6.0697 4.6428
Er 0.5772 0.8804 9.8322
Er 3.1852 8.9799 2.8820
Er 8.1020 6.6444 5.2175
Er 0.8804 5.2175 6.9477
Er 2.8820 3.1852 8.9799
Er -2.8820 4.3396 8.9799
Er 6.6444 5.2175 8.1020
Er -1.4551 10.4068 3.1852
Er -2.3073 6.9477 6.6444
Er -4.3396 8.9799 4.6428
Er 0.5772 8.4053 5.2175
Er -1.4551 2.8820 11.8644
Er 5.2175 8.1020 6.6444
Ge 3.7624 1.8812 0.0000
Ge 7.5248 3.7624 -1.8812
Ge 1.8812 0.0000 3.7624
Ge 9.4060 0.0000 3.7624
Ge 0.0000 3.7624 1.8812
Ge 3.7624 -1.8812 7.5248
Ge 3.7624 9.4060 0.0000
Ge 7.5248 3.7624 5.6436
Ge -1.8812 7.5248 3.7624
Ge 5.6436 7.5248 3.7624
Ge 0.0000 3.7624 9.4060
Ge 3.7624 5.6436 7.5248
H 0.0000 0.0000 0.0000
H 3.7624 3.7624 -3.7624
H 3.7624 -3.7624 3.7624
H 7.5248 0.0000 0.0000
H 11.2872 1.8812 0.0000
H 7.5248 -3.7624 5.6436
H 5.6436 7.5248 -3.7624
H 5.6436 0.0000 3.7624
H 3.7624 5.6436 0.0000
H 7.5248 3.7624 1.8812
H -3.7624 3.7624 3.7624
H 0.0000 7.5248 0.0000
H 0.0000 0.0000 7.5248
H 3.7624 3.7624 3.7624
H 0.0000 3.7624 5.6436
H 3.7624 1.8812 7.5248
H 1.8812 7.5248 3.7624
H 1.8812 0.0000 11.2872
H 0.0000 11.2872 1.8812
H -3.7624 5.6436 7.5248

=====

# 4
8
Lattice="4.4134 0.0000 0.0000 0.0000 4.4134 0.0000 0.0000 0.0000 8.4164" Properties=species:S:1:pos:R:3 comment="NdErGeH (PBE, relaxed)" m_tot_mub_per_fu=0.00 density_g_cm3=7.80 e_tot_ev_per_cell=-39.61 pbc="T T T"
Nd 1.1033 1.1033 1.0700
Nd 3.3100 3.3100 7.3465
Er 1.1033 3.3100 4.2082
Er 3.3100 1.1033 4.2082
Ge 1.1033 1.1033 6.1560
Ge 3.3100 3.3100 2.2605
H 1.1033 3.3100 0.0000
H 3.3100 1.1033 0.0000

=====

# 5
11
Lattice="-2.2783 2.2783 11.7698 2.2783 -2.2783 11.7698 2.2783 2.2783 -11.7698" Properties=species:S:1:pos:R:3 comment="Nd2Er4Ge3H2 (PBE, relaxed)" m_tot_mub_per_fu=0.00 density_g_cm3=8.00 e_tot_ev_per_cell=-55.16 pbc="T T T"
Nd 0.0000 0.0000 4.7141
Nd 0.0000 0.0000 18.8255
Er 2.2783 0.0000 1.8655
Er 2.2783 0.0000 9.9043
Er 0.0000 2.2783 1.8655
Er 0.0000 2.2783 9.9043
Ge 0.0000 0.0000 7.8126
Ge 0.0000 0.0000 11.7698
Ge 0.0000 0.0000 15.7271
H 0.0000 0.0000 2.2308
H 0.0000 0.0000 21.3089

=====

# 6
8
*/
(Written answer)
Ge 1.8602 0.0179 0.6203
Ge 0.5881 -0.0179 4.4233
Ge 9.4692 0.0179 3.1827
Ge 8.1971 -0.0179 6.9857
H 4.3926 0.2693 5.7045
H 5.6647 -0.2693 1.9015

=====

# 3
80
Lattice="-7.5248 7.5248 7.5248 7.5248 -7.5248 7.5248 7.5248 7.5248 -7.5248" Properties=species:S:1:pos:R:3 comment="Er12Ge3H5 (PBE, relaxed)" m_tot_mub_per_fu=0.00 density_g_cm3=8.69 e_tot_ev_per_cell=-373.00 pbc="T T T"
Er 2.3073 -0.5772 0.8804
Er 8.9799 4.6428 -4.3396
Er 6.9477 -0.8804 2.3073
Er 11.8644 -1.4551 2.8820
Er 9.8322 0.5772 0.8804
Er 8.9799 -2.8820 4.3396
Er 0.8804 2.3073 -0.5772
Er 10.4068 3.1852 -1.4551
Er 4.6428 4.3396 -1.4551
Er 6.6444 2.3073 0.5772
Er -0.5772 0.8804 2.3073
Er 4.3396 -1.4551 4.6428
Er 6.9477 6.6444 -2.3073
Er 4.3396 1.4551 2.8820
Er 6.6444 -2.3073 6.9477
Er 4.6428 -4.3396 8.9799
Er 2.8820 4.3396 1.4551
Er 8.4053 5.2175 0.5772
Er 2.3073 6.9477 -0.8804
Er 8.9799 2.8820 3.1852
Er 4.3396 8.9799 -2.8820
Er 6.9477 0.8804 5.2175
Er 1.4551 2.8820 4.3396
Er 2.3073 0.5772 6.6444
Er 5.2175 6.9477 0.8804
Er 6.0697 4.6428 3.1852
Er 0.5772 6.6444 2.3073
Er 3.1852 -1.4551 10.4068
Er -1.4551 4.6428 4.3396
Er 5.2175 0.5772 8.4053
Er -0.8804 2.3073 6.9477
Er 4.6428 3.1852 6.0697
Er 2.8820 11.8644 -1.4551
Er 0.8804 9.8322 0.5772
Er 3.1852 6.0697 4.6428
Er 0.5772 0.8804 9.8322
Er 3.1852 8.9799 2.8820
Er 8.1020 6.6444 5.2175
Er 0.8804 5.2175 6.9477
Er 2.8820 3.1852 8.9799
Er -2.8820 4.3396 8.9799
Er 6.6444 5.2175 8.1020
Er -1.4551 10.4068 3.1852
Er -2.3073 6.9477 6.6444
Er -4.3396 8.9799 4.6428
Er 0.5772 8.4053 5.2175
Er -1.4551 2.8820 11.8644
Er 5.2175 8.1020 6.6444
Ge 3.7624 1.8812 0.0000
Ge 7.5248 3.7624 -1.8812
Ge 1.8812 0.0000 3.7624
Ge 9.4060 0.0000 3.7624
Ge 0.0000 3.7624 1.8812
Ge 3.7624 -1.8812 7.5248
Ge 3.7624 9.4060 0.0000
Ge 7.5248 3.7624 5.6436
Ge -1.8812 7.5248 3.7624
Ge 5.6436 7.5248 3.7624
Ge 0.0000 3.7624 9.4060
Ge 3.7624 5.6436 7.5248
H 0.0000 0.0000 0.0000
H 3.7624 3.7624 -3.7624
H 3.7624 -3.7624 3.7624
H 7.5248 0.0000 0.0000
H 11.2872 1.8812 0.0000
H 7.5248 -3.7624 5.6436
H 5.6436 7.5248 -3.7624
H 5.6436 0.0000 3.7624
H 3.7624 5.6436 0.0000
H 7.5248 3.7624 1.8812
H -3.7624 3.7624 3.7624
H 0.0000 7.5248 0.0000
H 0.0000 0.0000 7.5248
H 3.7624 3.7624 3.7624
H 0.0000 3.7624 5.6436
H 3.7624 1.8812 7.5248
H 1.8812 7.5248 3.7624
H 1.8812 0.0000 11.2872
H 0.0000 11.2872 1.8812
H -3.7624 5.6436 7.5248

=====

# 4
8
Lattice="4.4134 0.0000 0.0000 0.0000 4.4134 0.0000 0.0000 0.0000 8.4164" Properties=species:S:1:pos:R:3 comment="NdErGeH (PBE, relaxed)" m_tot_mub_per_fu=0.00 density_g_cm3=7.80 e_tot_ev_per_cell=-39.61 pbc="T T T"
Nd 1.1033 1.1033 1.0700
Nd 3.3100 3.3100 7.3465
Er 1.1033 3.3100 4.2082
Er 3.3100 1.1033 4.2082
Ge 1.1033 1.1033 6.1560
Ge 3.3100 3.3100 2.2605
H 1.1033 3.3100 0.0000
H 3.3100 1.1033 0.0000

=====

# 5
11
Lattice="-2.2783 2.2783 11.7698 2.2783 -2.2783 11.7698 2.2783 2.2783 -11.7698" Properties=species:S:1:pos:R:3 comment="Nd2Er4Ge3H2 (PBE, relaxed)" m_tot_mub_per_fu=0.00 density_g_cm3=8.00 e_tot_ev_per_cell=-55.16 pbc="T T T"
Nd 0.0000 0.0000 4.7141
Nd 0.0000 0.0000 18.8255
Er 2.2783 0.0000 1.8655
Er 2.2783 0.0000 9.9043
Er 0.0000 2.2783 1.8655
Er 0.0000 2.2783 9.9043
Ge 0.0000 0.0000 7.8126
Ge 0.0000 0.0000 11.7698
Ge 0.0000 0.0000 15.7271
H 0.0000 0.0000 2.2308
H 0.0000 0.0000 21.3089

=====

# 6
8